Responsibilities of the zoo Stadt Haag

Species protection, education, experience, relaxation

As can be seen in the history of our zoo, the Stadt Haag animal park was originally set up as a wildlife park so that people in Haag and the surrounding area would be able to observe the domestic animals.
The interest of the visitors was growing, so that exotic animals soon found a new home in Stadt Haag. One of our most important goals is the environmental education for people.

Species protection

In the recent past, the zoo has become increasingly important for the protection of endangered animals. With its own programs (for example, the European Endagered Species Program – EEP) which intensify the cooperation of zoos and animal parks, endangered animal species are financed and zoos encouraged to keep these species alive. The most important goal is to obtain a genetically balanced population, which serves as a reservoir and will in the future serve to support the dwindling wildlife. The participating zoos are only holders of the animals belonging to the EEP. Each type of EEP is supervised by a species coordinator who coordinates and supervises the composition of breeding groups.

== Crystal structures, as found in the file ==
~~~
No. 1
The following is a calculated powder diffraction line list of Dy2HoTe3. It was derived from a PBE-relaxed structure, using copper Kα.
Intensities are scaled so that the largest is 100.

Atomic structure:
Lattice parameters (Å, degrees): 8.7984 8.7984 8.7984 48.58 48.58 48.58
Element x y z (fractional)
Dy: 0.1668 0.1668 0.1668
Dy: 0.3332 0.3332 0.3332
Dy: 0.6668 0.6668 0.6668
Dy: 0.8332 0.8332 0.8332
Ho: 0.0000 0.0000 0.0000
Ho: 0.5000 0.5000 0.5000
Te: 0.0841 0.7500 0.4159
Te: 0.2500 0.5841 0.9159
Te: 0.4159 0.0841 0.7500
Te: 0.5841 0.9159 0.2500
Te: 0.7500 0.4159 0.0841
Te: 0.9159 0.2500 0.5841

Top 10 peaks for 5° ≤ 2θ ≤ 70°, low angle first:
Position (°2θ)  Rel. int.
24.60  22
27.20  41
33.91  100
43.05  12
43.30  41
46.94  11
51.89  7
56.10  24
65.76  24
69.82  6

---

No. 2
The following is a calculated powder diffraction line list of CeY2Ho7. It was derived from a PBE-relaxed structure, using copper Kα.
Intensities are scaled so that the largest is 100.

Atomic structure:
Lattice parameters (Å, degrees): 14.6927 14.6927 3.4651 90.00 90.00 154.59
Element x y z (fractional)
Ce: 0.0000 0.0000 0.0000
Y: 0.2920 0.7080 0.5000
Y: 0.7080 0.2920 0.5000
Ho: 0.1489 0.3459 0.5000
Ho: 0.1858 0.8142 0.0000
Ho: 0.3459 0.1489 0.5000
Ho: 0.5000 0.5000 0.5000
Ho: 0.6541 0.8511 0.5000
Ho: 0.8142 0.1858 0.0000
Ho: 0.8511 0.6541 0.5000

Top 10 peaks for 5° ≤ 2θ ≤ 70°, low angle first:
Position (°2θ)  Rel. int.
29.41  50
30.35  82
31.20  83
31.90  53
33.24  100
33.48  96
38.08  34
40.18  40
50.00  37
64.02  30

---

No. 3
The following is a calculated powder diffraction line list of CsRh2Se. It was derived from a PBE-relaxed structure, using copper Kα.
Intensities are scaled so that the largest is 100.

Atomic structure:
Lattice parameters (Å, degrees): 6.7560 6.7560 6.7560 107.59 107.59 113.31
Element x y z (fractional)
Cs: 0.0000 0.0000 0.0000
Cs: 0.7500 0.2500 0.5000
Rh: 0.2818 0.6250 0.1568
Rh: 0.3750 0.5318 0.6568
Rh: 0.4682 0.1250 0.8432
Rh: 0.8750 0.7182 0.3432
Se: 0.2500 0.7500 0.5000
Se: 0.5000 0.5000 0.0000

Top 10 peaks for 5° ≤ 2θ ≤ 70°, low angle first:
Position (°2θ)  Rel. int.
16.30  20
22.28  35
27.73  95
28.78  100
32.95  26
35.57  26
43.35  51
51.19  36
54.50  21
54.69  24

---

No. 4
The following is a calculated powder diffraction line list of La3Pm3Y5. It was derived from a PBE-relaxed structure, using copper Kα.
Intensities are scaled so that the largest is 100.

Atomic structure:
Lattice parameters (Å, degrees): 11.3061 11.3061 3.5029 90.00 90.00 120.00
Element x y z (fractional)
La: 0.0000 0.6054 0.0000
La: 0.3946 0.3946 0.0000
La: 0.6054 0.0000 0.0000
Pm: 0.0000 0.8408 0.5000
Pm: 0.1592 0.1592 0.5000
Pm: 0.8408 0.0000 0.5000
Y: 0.0000 0.3393 0.5000
Y: 0.3333 0.6667 0.5000
Y: 0.3393 0.0000 0.5000
Y: 0.6607 0.6607 0.5000
Y: 0.6667 0.3333 0.5000

Top 10 peaks for 5° ≤ 2θ ≤ 70°, low angle first:
Position (°2θ)  Rel. int.
9.03  35
24.05  30
27.04  30
27.33  56
30.01  80
32.98  100
35.28  80
41.03  81
48.12  42
63.17  30

---

No. 5
~~~
== End of the crystal structures ==

The aim is to sensitize people to preserve and expand the habitats and ecosystems in which these animals live. This is the only way to save an animal species from extinction in the long term.

Species protection projects at the zoo Stadt Haag

In the nineties of the last century, the jackdaws in Lower Austria were placed on the list of endangered animal species. Birdlife Austria has been trying to help with a scientifically managed animal protection program since then. Since 1999, Mr. Franz Riedler from the zoo Stadt Haag cooperated with BirdLife Austria. The castle Salaberg and the magnificent old trees in the animal park offer the jackdaws natural breeding grounds. About 30 nest boxes were built, assembled and maintained for the jackdaws. By 2005, more than 30 breeding pairs were living at the zoo. The Konrad Lorenz Institute for Animal Behavior Research in Grünau in the Alm Valley received a few young animals each year for research purposes and for the settlement of a jackdaw population in the alpine valley. A few years later the cooperation with birdlife was discontinued.

A breeding program that works together with the Hamburg Zoo “Hagenbeck”. In 2004, the zoo Stadt Haag received the 1-year-old Chapman-zebra couple Kiri and Hatara. Since then, there have been some offspring who were born in Stadt Haag and now live in other zoos or animal parks.

Within the European Endagered Species Program – EEP, 2 China leopards (1 male and 1 female) are kept at the Haag Zoo. We are supported by the Art Commission of the EEP.


There are many children’s books, encyclopedias and literature about the animals. But the impression of being in direct contact with the animals has a lasting effect. Such a facinating encounter with thze animal will imprint deeply within your memories and most likely never be fogotten.

Children are offered natural access to a wide variety of animals in a simple manner. This often influences the attitude to nature and living beings. In most cases, a visit to a zoo is crucial for a child to choose a certain animal as his favorite animal.

School and family trips offer a great opportunity to provide children with a simple and honest approach to nature.

The descriptions of the animals on the enclosures and on our web pages convey knowledge about the individual animal species.

Experience and ralaxation

A trip to the zoo Stadt Haag is an experience for everyone. Not only the biodiversity is impressive. Especially the proximity to the animals gives a lasting impression to the visitors. The animal park Stadt Haag is in a forest with many old trees. A trip to the zoo is an excursion into the middle of nature. Those who seek relaxation can relax for a few hours and recharge their batteries.